No. 1
Below is MgV2CoO6 after structural relaxation, with properties calculated at the PBE+U level.

Cell and atoms, written as extended XYZ:
```
10
Lattice="-1.0311 1.4942 3.5737 3.0912 -4.8108 0.5011 5.5269 3.6532 0.0891" Properties=species:S:1:pos:R:3 pbc="T T T"
O 2.8504 -1.6400 3.6718
O 3.9509 1.1952 2.7831
V 4.8932 0.3503 1.1582
O 5.2083 2.1025 0.5312
O 3.1201 -0.4913 1.0026
V 2.5235 -0.1554 2.9283
O 0.8013 0.2509 2.2621
Mg 4.4376 3.1171 2.1193
Co 1.1894 -0.1186 0.2209
O 6.1443 -0.5306 1.8607
```

Summary:
Energy above the most stable polymorph in this dataset, meV per atom: 27
Size of the total moment, μB per formula unit: 5.00
Space-group type: P1 (1)
Total energy, eV/atom: -7.046
Calculated volume, Å³ per cell: 141
E (MP2020), eV for the cell shown: -79.6
Formation enthalpy at 0 K, eV per atom: -2.31

No. 2
Below is MgV2CoO6 after structural relaxation, with properties calculated at the PBE+U level.

Cell and atoms, written as extended XYZ:
```
10
Lattice="-1.9162 1.2928 -5.1516 0.3055 -3.2393 -4.8012 -4.3479 -2.4889 -2.8619" Properties=species:S:1:pos:R:3 pbc="T T T"
O -1.7424 -0.6135 -6.2060
O -4.0768 -1.7030 -4.7732
V -0.1490 -0.1358 -0.2490
O -2.0713 -2.5591 -8.4285
O -4.2945 -1.3655 -7.4705
Co -4.0147 -3.0153 -8.6358
V -3.0140 -2.1737 -6.4081
Mg -5.0001 -3.7072 -10.7728
O -3.9949 -3.9335 -6.9671
O -1.8092 -3.3528 -5.4003
```

Summary:
Energy above the most stable polymorph in this dataset, meV per atom: 204
Size of the total moment, μB per formula unit: 5.00
Space-group type: P1 (1)
Total energy, eV/atom: -6.870
Calculated volume, Å³ per cell: 110
E (MP2020), eV for the cell shown: -77.9
Formation enthalpy at 0 K, eV per atom: -2.13

No. 3
Below is Mg2V2CoO8 after structural relaxation, with properties calculated at the PBE+U level.

Cell and atoms, written as extended XYZ:
```
26
Lattice="-5.3204 2.6040 -1.5284 -3.6879 -3.0048 -4.5201 -3.8727 -4.3575 6.0564" Properties=species:S:1:pos:R:3 pbc="T T T"
O -6.7162 -0.5481 -2.0386
O -6.6091 -3.5781 -0.9671
Mg -10.3055 -3.1586 -0.1116
Mg -7.6455 -4.4608 0.6529
O -7.3332 -0.0977 -4.7588
O -6.2776 1.5072 -0.0639
V -4.9113 -3.6220 -1.3151
O -5.5477 -4.6606 4.7667
O -6.1648 -4.2102 2.0465
V -6.3148 -3.5694 3.6593
O -6.6033 -6.2654 0.0718
O -8.6479 -2.7090 1.0054
O -4.8839 -1.2963 -4.0547
Co -4.5965 -0.8767 2.2640
V -6.5662 -1.1888 -3.6515
V -7.9696 -1.1362 1.3229
O -3.6514 0.1669 0.7534
Mg -2.5754 -1.5996 0.1195
O -6.2719 -1.1802 0.9749
Mg -5.2355 -0.2975 -0.6450
O -4.2330 -2.0493 -0.9975
O -7.9971 -3.4619 4.0626
O -3.4011 -2.5860 1.7995
O -9.2296 -4.9252 -0.7455
Co -5.3204 2.6040 -1.5284
O -9.4799 -2.1723 -1.7916
```

Summary:
Size of the total moment, μB per formula unit: 3.00
Space-group type: Cmce (64)
Total energy, eV/atom: -6.902
Calculated volume, Å³ per cell: 299
E (MP2020), eV for the cell shown: -200.5
Formation enthalpy at 0 K, eV per atom: -2.48

No. 4
Below is MgV2CoO6 after structural relaxation, with properties calculated at the PBE+U level.

Cell and atoms, written as extended XYZ:
```
10
Lattice="-1.6980 1.3359 -3.1511 0.2204 -5.5366 -0.1517 -6.1125 -1.0759 2.8375" Properties=species:S:1:pos:R:3 pbc="T T T"
O -5.8209 -4.2539 1.3868
Mg -0.8186 -1.6934 -0.2227
O -4.9901 -1.6801 2.0307
V -4.4066 -3.0302 1.1437
Co -6.9624 -4.1801 -0.2827
V -3.2725 -2.7969 -1.6843
O -2.6663 -4.1437 -2.5805
O -1.9226 -1.5151 -1.8686
O -2.6617 -3.0166 0.2094
O -5.0017 -2.8072 -0.7572
```

Summary:
Energy above the most stable polymorph in this dataset, meV per atom: 0
Size of the total moment, μB per formula unit: 5.00
Space-group type: Cm (8)
Total energy, eV/atom: -7.074
Calculated volume, Å³ per cell: 135
E (MP2020), eV for the cell shown: -79.9
Formation enthalpy at 0 K, eV per atom: -2.33

No. 5
Below is MgV2CoO6 after structural relaxation, with properties calculated at the PBE+U level.

Cell and atoms, written as extended XYZ:
```
10
Lattice="-0.6249 -3.2583 1.3813 2.8763 -0.5934 -4.7761 4.6014 0.9059 4.2158" Properties=species:S:1:pos:R:3 pbc="T T T"

Set down all of the notes further up character by character.

No. 1
Below is MgV2CoO6 after structural relaxation, with properties calculated at the PBE+U level.

Cell and atoms, written as extended XYZ:
```
10
Lattice="-1.0311 1.4942 3.5737 3.0912 -4.8108 0.5011 5.5269 3.6532 0.0891" Properties=species:S:1:pos:R:3 pbc="T T T"
O 2.8504 -1.6400 3.6718
O 3.9509 1.1952 2.7831
V 4.8932 0.3503 1.1582
O 5.2083 2.1025 0.5312
O 3.1201 -0.4913 1.0026
V 2.5235 -0.1554 2.9283
O 0.8013 0.2509 2.2621
Mg 4.4376 3.1171 2.1193
Co 1.1894 -0.1186 0.2209
O 6.1443 -0.5306 1.8607
```

Summary:
Energy above the most stable polymorph in this dataset, meV per atom: 27
Size of the total moment, μB per formula unit: 5.00
Space-group type: P1 (1)
Total energy, eV/atom: -7.046
Calculated volume, Å³ per cell: 141
E (MP2020), eV for the cell shown: -79.6
Formation enthalpy at 0 K, eV per atom: -2.31

No. 2
Below is MgV2CoO6 after structural relaxation, with properties calculated at the PBE+U level.

Cell and atoms, written as extended XYZ:
```
10
Lattice="-1.9162 1.2928 -5.1516 0.3055 -3.2393 -4.8012 -4.3479 -2.4889 -2.8619" Properties=species:S:1:pos:R:3 pbc="T T T"
O -1.7424 -0.6135 -6.2060
O -4.0768 -1.7030 -4.7732
V -0.1490 -0.1358 -0.2490
O -2.0713 -2.5591 -8.4285
O -4.2945 -1.3655 -7.4705
Co -4.0147 -3.0153 -8.6358
V -3.0140 -2.1737 -6.4081
Mg -5.0001 -3.7072 -10.7728
O -3.9949 -3.9335 -6.9671
O -1.8092 -3.3528 -5.4003
```

Summary:
Energy above the most stable polymorph in this dataset, meV per atom: 204
Size of the total moment, μB per formula unit: 5.00
Space-group type: P1 (1)
Total energy, eV/atom: -6.870
Calculated volume, Å³ per cell: 110
E (MP2020), eV for the cell shown: -77.9
Formation enthalpy at 0 K, eV per atom: -2.13

No. 3
Below is Mg2V2CoO8 after structural relaxation, with properties calculated at the PBE+U level.

Cell and atoms, written as extended XYZ:
```
26
Lattice="-5.3204 2.6040 -1.5284 -3.6879 -3.0048 -4.5201 -3.8727 -4.3575 6.0564" Properties=species:S:1:pos:R:3 pbc="T T T"
O -6.7162 -0.5481 -2.0386
O -6.6091 -3.5781 -0.9671
Mg -10.3055 -3.1586 -0.1116
Mg -7.6455 -4.4608 0.6529
O -7.3332 -0.0977 -4.7588
O -6.2776 1.5072 -0.0639
V -4.9113 -3.6220 -1.3151
O -5.5477 -4.6606 4.7667
O -6.1648 -4.2102 2.0465
V -6.3148 -3.5694 3.6593
O -6.6033 -6.2654 0.0718
O -8.6479 -2.7090 1.0054
O -4.8839 -1.2963 -4.0547
Co -4.5965 -0.8767 2.2640
V -6.5662 -1.1888 -3.6515
V -7.9696 -1.1362 1.3229
O -3.6514 0.1669 0.7534
Mg -2.5754 -1.5996 0.1195
O -6.2719 -1.1802 0.9749
Mg -5.2355 -0.2975 -0.6450
O -4.2330 -2.0493 -0.9975
O -7.9971 -3.4619 4.0626
O -3.4011 -2.5860 1.7995
O -9.2296 -4.9252 -0.7455
Co -5.3204 2.6040 -1.5284
O -9.4799 -2.1723 -1.7916
```

Summary:
Size of the total moment, μB per formula unit: 3.00
Space-group type: Cmce (64)
Total energy, eV/atom: -6.902
Calculated volume, Å³ per cell: 299
E (MP2020), eV for the cell shown: -200.5
Formation enthalpy at 0 K, eV per atom: -2.48

No. 4
Below is MgV2CoO6 after structural relaxation, with properties calculated at the PBE+U level.

Cell and atoms, written as extended XYZ:
```
10
Lattice="-1.6980 1.3359 -3.1511 0.2204 -5.5366 -0.1517 -6.1125 -1.0759 2.8375" Properties=species:S:1:pos:R:3 pbc="T T T"
O -5.8209 -4.2539 1.3868
Mg -0.8186 -1.6934 -0.2227
O -4.9901 -1.6801 2.0307
V -4.4066 -3.0302 1.1437
Co -6.9624 -4.1801 -0.2827
V -3.2725 -2.7969 -1.6843
O -2.6663 -4.1437 -2.5805
O -1.9226 -1.5151 -1.8686
O -2.6617 -3.0166 0.2094
O -5.0017 -2.8072 -0.7572
```

Summary:
Energy above the most stable polymorph in this dataset, meV per atom: 0
Size of the total moment, μB per formula unit: 5.00
Space-group type: Cm (8)
Total energy, eV/atom: -7.074
Calculated volume, Å³ per cell: 135
E (MP2020), eV for the cell shown: -79.9
Formation enthalpy at 0 K, eV per atom: -2.33

No. 5
Below is MgV2CoO6 after structural relaxation, with properties calculated at the PBE+U level.

Cell and atoms, written as extended XYZ:
```
10
Lattice="-0.6249 -3.2583 1.3813 2.8763 -0.5934 -4.7761 4.6014 0.9059 4.2158" Properties=species:S:1:pos:R:3 pbc="T T T"